  1. Types of uniforms
  2. Mindset possibilities
  3. Assembling a uniform
  4. Ranks
  5. Resources for learning more
  6. Legal concerns in the U.S.
  7. "Respect" concerns
  8. Credits

  1. Types of uniforms

These records of crystals were left in the text by mistake:
____________
[1]
PBE PmSm2Rh, optimized geometry; theoretical density = 7.4 g/cm3; E_form = -296 meV per atom; energy above the most stable polymorph in this dataset = 0.63 eV/f.u.; density of states at the Fermi level = 4.467 states/eV/f.u.
1.0
3.853 0.000 0.000
-1.927 3.337 0.000
0.000 0.000 28.595
Pm Sm Rh
3 6 3
direct
0.000 0.000 0.000
0.333 0.667 0.667
0.667 0.333 0.333
0.000 0.000 0.226
0.000 0.000 0.774
0.333 0.667 0.441
0.333 0.667 0.893
0.667 0.333 0.107
0.667 0.333 0.559
0.000 0.000 0.500
0.333 0.667 0.167
0.667 0.333 0.833


[2]
PBE Pm2Sm2Rh3, optimized geometry; theoretical density = 7.8 g/cm3; E_form = -575 meV per atom; energy above the most stable polymorph in this dataset = 0.63 eV/f.u.; density of states at the Fermi level = 3.865 states/eV/f.u.
1.0
4.167 0.000 0.000
-2.079 6.592 0.000
-0.008 -1.181 6.932
Pm Sm Rh
2 2 3
direct
0.135 0.267 0.363
0.865 0.733 0.637
0.374 0.747 0.109
0.626 0.253 0.891
0.000 0.000 0.000
0.238 0.479 0.744
0.762 0.521 0.256
____________

  3. Mindset possibilities

  5. Assembling a uniform

  7. Ranks
  8. Ranks can often be found by going to the Web site for the organization one is interested in, for example:    

  9. Resources for learning more

  11. Legal concerns in the U.S.

  13. "Respect" concerns
  14. [When I first began working on this presentation, I turned to gl-asb at groups.queernet.org/cgi-bin2/mj_wwwusr?user=&passw=&func=lists-long-full&extra=gl-asb for input and feedback. One of the members provided this viewpoint of which uniform afficionados should be aware. Robert's note is reprinted below with his kind permission.]

    Dear Wes,

    I used to to be somewhat of a stickler about uniforms. I did not believe anyone (with the exception of maybe Halloween) should wear a uniform that he or she had not earned. Law enforcement, soldier, fireman, sailor or Boy Scout. Each rank, each qualification, each medal and award on a uniform meant someone had to make the extraordinary effort-- in the case of medals of valor, perhaps even at great risk-- to earn the right to wear that emblem. I was quite adamant that a uniform was NOT to be considered costume, and to do so was to dilute and insult the very authority and authenticity that we find exciting about uniforms in the first place.

    I have (not according to my friends) mellowed over the years. The dividing line: If one wants to put the research and the respect into wearing a uniform with authenticity. Don't "mix-n-match" whatever you want to. A uniform is the very opposite of free-form creative expression. Don't buy so many ribbons that you look like a double order of fruit salad. Wear only the appropriate awards for the service, the rank and the era of the uniform. If you want to wear a uniform, lose the ponytail and beard if they are not allowed by the authority issuing the uniform. To do less is the equivalent of skag drag, and don't be surprised if you deeply offend someone who actually earned those symbols. Do you really want to piss off people with hand-to-hand combat, artillery, weapons and demolitions skills? And that would just be the lesbians. . . .

    Having spent six years in uniform, their sensual powers have somewhat waned for me. I find that most people who are excited by uniforms, like those who get off on prison fantasies, have never been in any service or in prison. As the Carthagian General Hanibal said, "No great expectation is to be place[d] on young soldier's eagerness for battle. War is agreeable only to those who are strangers to it."

    I hope that you would present at least a few of these cautionary notes in your program.

    Robert Davolt


    [When TrooperKurt read the above, he understood. But he also wanted to make sure that I included fun in my presentation. His comments are reprinted with his kind permission.]

    Robert Davolt is clearly passionate about his uniform collecting and wearing. I am as well. I enjoy all of my uniforms, but clearly feel differently about possibly widening the circle of prospective enthusiasts. A segment of the uniform fetish community seems bent on excluding someone who has an interest in collecting and wearing uniforms, but is intimidated by the thought of being scrutinized, inspected and criticized for mistakes in one's uniform appearance.

    As uniform enthusiasts I feel we have a duty to assist those who come to us for help in assembling and collecting uniforms. We run the risk of closing off and killing a truly great and fulfilling hobby if we continue traveling down this path. I am someone who has done the research and has tried to assemble uniforms correct to form as they would be worn by someone who wears that uniform as part of daily life. But it is a long and expensive process. I am not in a position to criticize or judge someone who wears a police shirt and levis or someone in a dress blues blouse and leather breeches. That one article of uniform clothing might be that guy's first step into the world of uniforms and could lead to a deeper interest of collecting and researching aspects of the history and significance of the uniform and it's decorations. I for one do not want to kill that interest by pointing out flaws and inaccuracies in his appearance. If anything I want to encourage someone to dig deeper and expand on that piece of initial curiosity which lead him to this place so far.

    My overwhelming message is that uniforms are fun. I love the look and thrill I get when looking at and wearing uniforms. Please keep fun in mind in everything you do in uniform.



  15. Credits
  16. My thanks to:



© 2000-2007 by Officer Wes